Cavendish was born on 30 November 1836 at Compton House, a stately home, in Eastbourne, England, the second son of the 7th Duke of Cavendish. He was educated at home and then at Trinity College, Cambridge. He served as a cornet in the Duke of Lancaster’s Own Yeomanry Cavalry, before taking a post as private secretary to Lord Granville, who was then Lord President of the Council. He remained in that position from 1859 to 1864. In 1864, he married Lucy Caroline Lyttelton, the second daughter of the 4th Baron Lyttelton, and a niece of William Gladstone’s wife. They would have no children.
In 1865, Cavendish was elected to parliament as a Liberal MP for the Northern Division of the West Riding of Yorkshire. After serving as Gladstone’s private secretary, from July 1872 to August 1873, he became a junior lord of the Treasury until the 1874 election brought the Tories back into power. With Gladstone again PM in 1880, Cavendish was appointed financial secretary to the Treasury, until 1882 when he was offered, and accepted, the post of Chief Secretary to the Lord-Lieutenant of Ireland (nominally subordinate to the
After her husband’s death, Lucy became an increasingly active campaigner for girls’ and women’s education. She was a member of the royal commission on education in 1894 (one of the first women to serve on a royal commission); and she was a long-serving president of the Yorkshire Ladies’ Council of Education (1885-1912). In 1904 she was awarded an honorary degree (Doctor of Laws) at the formal inauguration of Leeds University for ‘notable service to the cause of education’. She died in 1925, but was not forgotten - in 1965, Cambridge University named its first postgraduate college for women after her. Further information can be found at Wikipedia (Lord Cavendish, Lady Cavendish) or the Oxford Dictionary of National Biography (log-in required, free with UK library card).
Lady Cavendish was an assiduous diarist for the first part of her life, from the age of 13 until the death of her husband. Her diaries were edited by John Bailey (her brother-in-law) and published by John Murray in 1927 as The Diary of Lady Frederick Cavendish. The diary is used as a major resource by Andrea Geddes Poole in her recent book Philanthropy and the Construction of Victorian Women’s Citizenship: Lady Frederick Cavendish and Miss Emma Cons (parts of this can be read online at Googlebooks). Also, a review of the published diary can be read in a 1927 edition of The Spectator.

The diaries, as published, however are all freely available online - at the Lady Lucy Cavendish Diary Blog - thanks to a shy lady, Denise H, who describes herself at ‘just an Anglophile in Minnesota’. The diary records, Denise says, ‘an exciting whirl of the best upper class life of the time both in town and in the country. From crowded London dinner parties to extended stays at the most famous British country manors (Chatsworth, Holker), to travels to the continent and the West Indies, her diary records a life that Anthony Trollope could only imagine.’ Apart from a full index of Lady Cavendish’s diary by date, Denise has also indexed the entries by topics and names. Her site also includes the editor’s introductions to each of the various diary volumes.
Here are several extracts from Lady Cavendish’s diary chosen because they shed light on the life of Lord Cavendish (F. or Fred.). The first includes her mention of her future husband, and another concerns her wedding day; Uncle W, being Gladstone, also appears in these extracts. (FN in square brackets indicate Bailey’s footnotes as inserted into the text by Denise.)
'''
First-principles (PBE-GGA) data for La2PtI after structural relaxation, as listed in Alexandria via LeMat-Bulk.

Computed properties:
The total energy is -22.34 eV per cell. The distance to the lowest polymorph of the same formula comes out at 0.000 eV per atom. Its raw formation energy is -1.22 eV per atom. The symmetry is No. 166.

Geometry as POSCAR:
```
La2PtI
1.0
2.1658 1.2505 8.2298
-2.1658 1.2505 8.2298
0.0000 -2.5009 8.2298
La Pt I
2 1 1
Cartesian
0.0000 0.0000 5.6625
0.0000 0.0000 19.0269
0.0000 0.0000 12.3447
0.0000 0.0000 0.0000
```

* * * * *

First-principles (PBE+U) data for a relaxed Cr2Cd2TcO6 crystal, as listed in the Alexandria database.

Cell: 5.2603 5.2603 6.8052 Å, 99.40 99.40 119.42°
Last column: nearest neighbours and their distance in Å.
Fractional coordinates of all 11 atoms:
Cr1 0.1664 0.8336 0.0000  6 O 2.02-2.06
Cr2 0.8336 0.1664 0.0000  6 O 2.02-2.06
Cd1 0.1851 0.8149 0.5000  4 O 2.59-2.74
Cd2 0.8149 0.1851 0.5000  4 O 2.59-2.74
Tc1 0.5000 0.5000 0.0000  6 O 2.03-2.04
O1 0.1033 0.1033 0.8344  1 Tc 2.04, 2 Cr 2.06
O2 0.2320 0.5669 0.1574  2 Cr 2.02-2.04, 1 Tc 2.03
O3 0.4331 0.7680 0.8426  2 Cr 2.02-2.04, 1 Tc 2.03
O4 0.5669 0.2320 0.1574  2 Cr 2.02-2.04, 1 Tc 2.03
O5 0.7680 0.4331 0.8426  2 Cr 2.02-2.04, 1 Tc 2.03
O6 0.8967 0.8967 0.1656  1 Tc 2.04, 2 Cr 2.06

Summary:
Calculated total energy: -6.47 eV per atom
V: 155.2 Å³/cell
SG: C2/m
'''
## End of the crystal structures
20 November 1862
Data records, kept here for reference:
+++
No. 1
This record from the Open Quantum Materials Database describes crystalline SrSnBiPd2 at its relaxed geometry. The functional is PBE-GGA.

Properties
SG   P4/nmm, No. 129
Theoretical density   8.559 g/cm3
Total energy   -4.670 eV per atom

Cell: 4.6988 4.6988 11.0398 Å, 90.00 90.00 90.00°
Last column: nearest neighbours and their distance in Å.
Fractional positions:
Sn1 0.5000 0.5000 0.5000  4 Pd 2.71
Sn2 0.0000 0.0000 0.5000  4 Pd 2.71
Pd1 0.5000 0.0000 0.6217  4 Sn 2.71, 1 Bi 2.72
Pd2 0.0000 0.5000 0.3783  4 Sn 2.71, 1 Bi 2.72
Pd3 0.0000 0.0000 0.0000  4 Bi 2.76
Pd4 0.5000 0.5000 0.0000  4 Bi 2.76
Bi1 0.0000 0.5000 0.1315  5 Pd 2.72-2.76
Bi2 0.5000 0.0000 0.8685  5 Pd 2.72-2.76
Sr1 0.5000 0.0000 0.2436  4 Bi 3.55, 8 Pd 3.57-3.64, 4 Sn 3.68
Sr2 0.0000 0.5000 0.7564  4 Bi 3.55, 8 Pd 3.57-3.64, 4 Sn 3.68

***

No. 2
This record from the Open Quantum Materials Database describes crystalline NaPr2 at its relaxed geometry. The functional is PBE-GGA.

Properties
SG   Fd-3m, No. 227
Theoretical density   4.416 g/cm3
Total energy   -3.202 eV per atom

Cell: 6.8697 6.8697 6.8697 Å, 60.00 60.00 60.00°
Last column: nearest neighbours and their distance in Å.
Fractional positions:
Na1 0.0000 0.0000 0.0000  12 Pr 4.03, 4 Na 4.21
Na2 0.2500 0.2500 0.2500  12 Pr 4.03, 4 Na 4.21
Pr1 0.1250 0.6250 0.6250  6 Pr 3.43
Pr2 0.6250 0.6250 0.6250  6 Pr 3.43
Pr3 0.6250 0.1250 0.6250  6 Pr 3.43
Pr4 0.6250 0.6250 0.1250  6 Pr 3.43

***

No. 3
This record from the Open Quantum Materials Database describes crystalline Re2Au2O5 at its relaxed geometry. The functional is PBE-GGA.

Properties
SG   P4/mmm, No. 123
Theoretical density   12.116 g/cm3
Total energy   -6.553 eV per atom

Cell: 7.9656 3.8160 3.8160 Å, 90.00 90.00 90.00°
Last column: nearest neighbours and their distance in Å.
Fractional positions:
Au1 0.5000 0.0000 0.0000  12 O 2.70-2.84
Au2 0.0000 0.0000 0.0000  8 O 2.67
O1 0.7646 0.0000 0.5000  2 Re 1.91
O2 0.2354 0.5000 0.0000  2 Re 1.91
O3 0.5000 0.5000 0.5000  2 Re 2.11
O4 0.7646 0.5000 0.0000  2 Re 1.91
O5 0.2354 0.0000 0.5000  2 Re 1.91
Re1 0.7646 0.5000 0.5000  5 O 1.91-2.11
Re2 0.2354 0.5000 0.5000  5 O 1.91-2.11

=====

First-principles (GGA-PBE) data for a relaxed structure of YThMnZn, as listed in Alexandria via LeMat-Bulk.

```
data_YThMnZn
_chemical_formula_sum 'Y4 Th4 Mn4 Zn4'
_cell_length_a 7.177
_cell_length_b 7.177
_cell_length_c 7.177
_cell_angle_alpha 90.00
_cell_angle_beta 90.00
_cell_angle_gamma 90.00
_symmetry_space_group_name_H-M 'F -4 3 m'
_symmetry_Int_Tables_number 216
_symmetry_space_group_name_Hall 'F -4 2 3'
loop_
_atom_site_label
_atom_site_type_symbol
_atom_site_fract_x
_atom_site_fract_y
_atom_site_fract_z
Y1 Y 0.000 0.000 0.000
Th1 Th 0.000 0.000 0.500
Mn1 Mn 0.250 0.250 0.250
Zn1 Zn 0.250 0.250 0.750
```

* total magnetization: 0.597 μB per atom
* E_tot: -6.084 eV/atom
* DFT formation energy: -0.04 kcal/mol of atoms

=====

Entry 1:
+++
‘A notable day; I came to Chatsworth chaperoned by At. Y. and Tallee, in default of Papa, who is too busy commissioning, besides he told me he had a romance abt Chatsworth, and wanted to see it in lovely weather, never having been here since ‘39. It is most delightful being again with my Tallee, and we have managed already a quiet sit and a spell of capping verses! I can’t judge of the house yet, only it seems immeasurable. We find the Duke of Devonshire, Ly. Louisa, and Ld. Frederic Cavendish, [FN: This is the first mention of her future husband.] Ld. and Ly. George Cavendish and daughter, Ld. and Ly. Fanny Howard and daughters, Mr. Charles Clifford, Mr. Vyner, etc., all family I fancy. Round game, at which I won 4s.’
11 March 1871
‘My precious Fred sent me a full account [FN: There had been a fire at Holker.]. Something in his dressing-room chimney did the mischief, but he suspected nothing till he was woke about 5 by a loud crash, and looking into the dressing-room, was driven back by suffocating hot smoke. He groped as fast as he could (no possibility of putting any clothes on!) to the other wing, alarmed the house, and set everyone to work saving pictures and books from the rooms below. The Duke and Uncle Richard worked hard, but when F. came down again from an expedition (commanded by the Duke in the advancing dawn!) to get on some borrowed clothes, the drawing-room and library were ungetatable, and alas some good pictures were lost: the Vernet (calm sea), the large Ruysdael, the Van der Cappelle, the Canaletto, and the S. Christopher by either Memling or Albert Dürer; engines came one after another and were efficacious in preventing the fire spreading to the old wing, which however was hardly to be averted except by the providential change of wind at the critical moment when the very doors of communication between the 2 wings were burnt. All is utter ruin of the new wing.’
2 February 1874
Here the piece breaks off for materials data:
No. 1
DFT (PBE-GGA) results for a relaxed Dy5ZnPb4 crystal.

## Properties
The calculated volume is 298.9 Å³ per cell. Its space group is No. 79. For the density of states at the Fermi level, the calculation gives 6.0 states/eV/f.u.

Cell and atoms, written as POSCAR:
```
Dy5ZnPb4
1.0
-4.8731 4.8731 3.1467
4.8731 -4.8731 3.1467
4.8731 4.8731 -3.1467
Dy Zn Pb
5 1 4
direct
0.0000 0.0000 0.0000
0.3587 0.5711 0.6005
0.5711 0.9706 0.2124
0.7583 0.3587 0.7876
0.9706 0.7583 0.3995
0.5008 0.5008 0.0000
0.0682 0.4547 0.1846
0.2700 0.8836 0.8154
0.4547 0.2700 0.3864
0.8836 0.0682 0.6136
```

=====

No. 2
DFT (PBE-GGA) results for a relaxed Dy2ZnPb crystal.

## Properties
The calculated volume is 211.8 Å³ per cell. Its space group is No. 11. For the density of states at the Fermi level, the calculation gives 4.8 states/eV/f.u.

Cell and atoms, written as POSCAR:
```
Dy2ZnPb
1.0
6.1429 0.0000 0.0000
0.0000 4.3880 0.0000
-3.0144 0.0000 7.8567
Dy Zn Pb
4 2 2
direct
0.1989 0.2500 0.4372
0.2228 0.2500 0.9183
0.7772 0.7500 0.0817
0.8011 0.7500 0.5628
0.3369 0.7500 0.7068
0.6631 0.2500 0.2932
0.3305 0.7500 0.2113
0.6695 0.2500 0.7887
```

=====

No. 3
DFT (PBE-GGA) results for a relaxed Dy3ZnPb3 crystal.

## Properties
The calculated volume is 378.6 Å³ per cell. Its space group is No. 12. For the density of states at the Fermi level, the calculation gives 4.0 states/eV/f.u.

Cell and atoms, written as POSCAR:
```
Dy3ZnPb3
1.0
5.7937 -2.2467 0.0000
5.7937 2.2467 0.0000
-4.7960 0.0000 14.5445
Dy Zn Pb
6 2 6
direct
0.0136 0.0136 0.3782
0.0966 0.0966 0.9221
0.2275 0.2275 0.2312
0.7725 0.7725 0.7688
0.9034 0.9034 0.0779
0.9864 0.9864 0.6218
0.2705 0.2705 0.6344
0.7295 0.7295 0.3656
0.3493 0.3493 0.4617
0.3666 0.3666 0.9241
0.4976 0.4976 0.2300
0.5024 0.5024 0.7700
0.6334 0.6334 0.0759
0.6507 0.6507 0.5383
```

=====

No. 4
DFT (PBE-GGA) results for a relaxed Dy2Zn5Pb crystal.

## Properties
The calculated volume is 323.9 Å³ per cell. Its space group is No. 63. For the density of states at the Fermi level, the calculation gives 4.0 states/eV/f.u.

Cell and atoms, written as POSCAR:
```
Dy2Zn5Pb
1.0
2.1798 -8.1813 0.0000
2.1798 8.1813 0.0000
0.0000 0.0000 9.0809
Dy Zn Pb
4 10 2
direct
0.0000 0.0000 0.0000
0.0000 0.0000 0.5000
0.2021 0.7979 0.7500
0.7979 0.2021 0.2500
0.1870 0.8130 0.1093
0.1870 0.8130 0.3907
0.3417 0.6583 0.0184
0.3417 0.6583 0.4816
0.3864 0.6136 0.7500
0.6136 0.3864 0.2500
0.6583 0.3417 0.5184
0.6583 0.3417 0.9816
0.8130 0.1870 0.6093
0.8130 0.1870 0.8907
0.4499 0.5501 0.2500
0.5501 0.4499 0.7500
```

=====

No. 5
DFT (PBE-GGA) results for a relaxed Dy3Zr2Pb3 crystal.

## Properties
The calculated volume is 428.3 Å³ per cell. Its space group is No. 193. For the density of states at the Fermi level, the calculation gives 6.8 states/eV/f.u.

Cell and atoms, written as POSCAR:
```
Dy3Zr2Pb3
1.0
8.9490 0.0000 0.0000
-4.4745 7.7500 0.0000
0.0000 0.0000 6.1756
Dy Zr Pb
6 4 6
direct
0.0000 0.2397 0.2500
0.0000 0.7603 0.7500
0.2397 0.0000 0.2500
‘The meeting was in the Keighley Mechanics’ Institute, at 8. The fine big hall was crammed in every corner. F. spoke with rather less effect than at Halifax, confining himself almost entirely to finance, but the people listened famously well, and I enjoyed the sight of their keen, shrewd faces. At first there were symptoms of opposition, from Tory, extreme Radical, and Republican (! ! !) sections, but all this seemed to dwindle away. My proudest time was during the questions, in which my old Fred does certainly excel. He is thoroughly up upon all the subjects and one could see growing respect and confidence in the faces below. Jolly old Mr. Wilson followed suit with unbounded good-will and pluck, but not quite with all the knowledge of the various matters one could wish; occasionally taking wild Radical flights, occasionally coming out rather old Tory than otherwise; but always with straightforwardness and bonhomie. What with F.’s profound earnestness and his humorous hitting, they are a good deal like Tragedy and Comedy. The meeting ended with splendid enthusiasm, and was all but unanimous, barely 6 hands being held up against us.’
7 June 1864
‘Our wedding day. I cannot write about it. I can only look backwards with loving regret, and forward with bright but trembling hope. We were married in Westminster Abbey, by Uncle Billy, and came here [FN: The Duke of Devonshire’s house at Chiswick in which both Fox and Canning died. It is now the property of the Municipality.] about 4 o’clock, into peaceful summer loveliness and the singing of birds.’
31 January 1881
‘A very notable week of Parliamentary events. The “debate” on leave to bring in the Coercion Bill began afresh on Monday, and the House sat for 41 1/2 hours. The Speaker and Dep. Speaker (Dr. Playfair) relieved each other, and the House divided itself as before into relays. On Tues. night F. was to sit up, and to go to bed at 8 on Wednesday morning the 2nd Feb. Instead of which, when he turned up at that hour, he announced that after some breakfast and a tub he was to go back again, as a coup d’état was decided on. The Speaker had gone on patiently calling the wretches to order over and over again, and about midnight the Tories made a dead set at Dr. Playfair, who had taken the Chair, to “name” one of the lot. He wouldn’t do what the Speaker had declined to do, and a bear-garden ensued. The Front Opposition bench all stalked out of the House, and rest took to shouting. Only poor Mr. Childers was on the Government bench at the time; but after a bit Bright came in and made a good speech which quieted them. Meanwhile F. went off in a cab to Devonshire House and pulled unlucky Hartn. out of bed at 1 when he had just got there and was sound asleep. The rest of the night passed peacefully. Very few even of the Government knew what was planned between the Speaker, Uncle W., and Sir Stafford; but some notion of a decisive step impending must have prevailed, for at 9 a.m. the House was pretty full. I hurried matters at home, but couldn’t omit Prayers for any coup d’état! so that I was just in time at 9.30 to be too late. The Speaker took Playfair’s place at 9, and without sitting down made a stately little speech as to the obstructed condition of things, and proceeded to say that under the exceptional circumstances he should call on no member to speak, but should at once call for the division. Biggar, one of the most offensive of the Irish, like a hunched-back toad to look at, who was comfortably expecting to resume his speech (interrupted by Playfair’s leaving the Chair), was thus left high and dry! and, before any of them could say Jack Robinson, the division was taken and leave given to bring in the Coercion Bill, which was immediately read a 1st time. When I got there, a bit of the business was being got thro’ and then came the announcement that the House do adjourn (for only 2 1/2 hours!), received by a worn-out cassé cheer of joy as the hapless M.P.s rushed out of the House and home to bed. We came across Sir Bow-wow Harcourt and Cavendish by Westminster Hall in high feather, Sir Bow-wow saying that it was the 1st time in history that Cavendish had been known to be in bed at 1, and then he was pulled out of it! F. went to bed, but had to be back by 12. Motions for adjournment went on just as if nothing had happened, and so came 6 with no progress made. Uncle W. then gave notice of Anti-Obstruction Resolutions.’
4 November 1881
‘—F. had talks with Uncle W. about his resignation, which he is very seriously contemplating about Easter, on the strength of having carried out all the great foreign matters of policy that he took office to do. The conversation as I have it from F. was pretty much as follows. Uncle W. began by saying that resigning the Chancellorship of the Exchequer would have the great drawback of in a manner binding him to remain on as P.M. for an indefinite time. His reasons for wishing to give it up altogether he then went into.
(I ought to have put in, after his words about the Exchequer, what he then proceeded to say as to his having been called to office. All the special reasons which justified his taking office were at an end or nearly so: the Berlin treaty carried out, Afghanistan evacuated, Transvaal settled, finance put on a satisfactory footing. Two matters that had since arisen no doubt still required his care - the state of Ireland, and Parliamentary Obstruction; but these were, he trusted, in a hopeful way of being settled.)
Never liked the tone even of Sir Robert Peel, when he used to complain of the severity of public service; which, in his (Uncle W.’s) opinion, was fairly requited and not heavier than duty called for. At the same time, he considered that after 50 years of public service it was not well to be obliged to work with the intensity which office now entailed, nor was it desirable to look forward to end one’s days in the contentions necessarily entailed by the office of P.M. In the next place, his position towards the Queen was intolerable to one who throughout life had reverenced her as a constitutional sovereign, inasmuch as he now had to strive daily with her on the side of liberty as opposed to jingoism. In the 3rd place he said it was only fair to Lord Granville and Hartn., who had led the party thro’ difficult and disagreeable times. F. acknowledged the force of all this, but represented the practical impossibility. While he retained his full powers, the country would not let him resign and nobody else could lead. Uncle W. then suggested temporary abstention on his part as meeting these difficulties; though he acknowledged that a retired Minister was inevitably the centre which attracted all discontent.
Subsequently, he mentioned the House of Lords, but said he thought of that with great reluctance. F. replied that to take a peerage was his only possible course if he was bent on retiring; that the country would otherwise always be turning to him and clamouring for him; that in the H. of Commons he could never occupy a 2nd place. Uncle W. laughed and said, “You have indeed put a serious bar in the way of my retiring.” When he spoke of Ld. Granville, F. said he had heard on good authority (which he did not quote - it was a letter from Lord Acton to Mazy) that Ld. G. meant to retire whenever Uncle W. did. At this he was greatly surprised; but said he did fear Ld. G.’s life was not a good one. He spoke of the effects of old age: said he was constantly reminded of Cobden’s remark about Ld. Palmerston - that with age authority was apt to increase as powers of judgment decreased; and quoted the D. of Wellington as another instance of harm done by old men. Nevertheless he was obliged to confess that he had stood the hard work of the last session without harm, and was in perfect force, and better than he had been. Spoke of a former time when he could not sleep on one side without disquiet and bad dreams - was now quite free from that. He tried to make out that Ireland might be quiet and the regulation of the House all settled by Easter. F. thinks there is hardly any chance of this. Within this very week he has given F. to read an able and exhaustive paper (such as might furnish matter for a 3 hours’ speech) on Local Government for the guidance of Mr. Dodson. How could this be launched and then left to others? (F., however, has learnt since that it is to be laid before a special Committee on which Uncle W. will not sit.) The talk ended by his saying he would consult Lord Granville.
The impression F. gathered from the whole conversation was that the thought of retirement was not so much prompted by the personal longing for it (tho’ without doubt it is a vision which refreshes and cheers him to turn to) as by conscientious scruples with regard to Ld. G. and Hartn., and as to his own conviction against old men going on at politics till they drop. He hates making himself the exception. (But N.B. what an exception he is, as a matter of fact!)
The upshot seems to me that he will find it impossible to retire before there is some indication of serious overstrain in him, either mental or bodily. That otherwise, however he might seclude himself he would remain a great power in the country, such as would necessarily hamper his successors. That the only feasible way, supposing his powers anything like what they are at present, would be by taking a peerage. That, unless he should be in real danger of breaking down, it could not be right for him to leave the helm in the present state of politics; nor can the moment be foreseen when it would be right. I think the hope of being able to retire soon will continue to please him; but that he will find it impossible at any given moment except under the above-mentioned conditions. Taking a peerage and continuing to be P.M. might do; but it could hardly be bearable for him to be P.M. with no power over the H. of C. and in a minority in the H. of Lords.’